Listing:
=====
# 1
111
Properties=species:S:1:pos:R:3:forces:R:3 method="wB97M-V/def2-TZVPD" homo_lumo_gap_ev="6.36 / 6.36" spin_multiplicity=1 de_lowest_kcal_mol=0.0
Cd -1.60068 0.27874 -1.32234 0.3 0.1 -0.3
O -0.97598 4.58979 -0.92855 -0.1 0.2 0.0
S -0.02034 3.56866 -0.44177 0.2 0.1 0.3
C 1.64701 4.14703 -0.90456 0.1 -0.4 0.1
C 1.89979 5.51268 -0.92969 -0.2 0.0 -0.1
C 3.18915 5.97493 -1.12079 0.0 0.0 0.0
C 4.22890 5.06386 -1.25240 0.1 0.0 0.0
C 3.96684 3.70599 -1.30815 -0.1 0.1 0.0
C 2.66058 3.22291 -1.20185 -0.2 0.0 0.4
P 2.18607 1.48511 -1.64349 0.0 0.0 -0.5
C 2.44779 1.70164 -3.47474 0.1 -0.1 0.1
C 3.69997 2.00652 -4.01603 -0.1 0.0 0.0
C 3.86900 2.14418 -5.38256 0.1 0.0 0.0
C 2.78900 1.98785 -6.24354 0.0 0.0 0.0
C 1.54102 1.69448 -5.72235 0.0 0.0 0.0
C 1.37589 1.55971 -4.34897 -0.1 -0.1 0.2
C 3.68979 0.52967 -1.20297 -0.1 0.0 0.2
C 4.23846 0.67751 0.07255 0.0 0.0 -0.1
C 5.36392 -0.04096 0.44621 0.0 0.0 0.1
C 5.93806 -0.94465 -0.43755 0.0 0.0 0.0
C 5.34823 -1.16167 -1.67497 0.0 0.0 0.0
C 4.22195 -0.44163 -2.04985 0.0 0.1 0.0
C 0.08786 3.83451 1.38688 -0.1 -0.3 0.1
C 0.80634 4.88212 1.96473 -0.1 -0.1 -0.1
C 0.72098 5.13906 3.31985 0.1 0.1 0.0
C -0.08294 4.35241 4.12688 0.0 0.0 0.2
C -0.78293 3.29973 3.57498 0.0 0.0 -0.1
C -0.70859 3.01440 2.20937 0.2 0.2 -0.4
P -1.60414 1.51601 1.57795 0.5 0.0 0.6
C -3.15077 1.76644 2.54548 -0.1 0.0 -0.2
C -3.52581 1.07367 3.69166 -0.1 0.0 -0.1
C -4.74714 1.33954 4.30204 0.0 0.0 0.0
C -5.58623 2.31591 3.78962 0.0 0.0 0.0
C -5.20662 3.03082 2.65930 0.0 0.0 0.0
C -4.00109 2.75439 2.03636 0.0 -0.2 0.0
C -0.72410 0.24986 2.59193 -0.1 0.0 -0.1
C 0.53149 0.43232 3.16942 0.0 0.0 0.0
C 1.13557 -0.59184 3.88892 0.0 0.0 0.0
C 0.50139 -1.81565 4.03584 0.0 0.0 0.0
C -0.73454 -2.02121 3.43767 0.0 0.0 0.0
C -1.32862 -1.00532 2.70598 0.0 0.1 0.0
H 1.06838 6.19670 -0.80406 0.0 0.0 0.0
H 3.38851 7.03848 -1.14510 0.0 0.0 0.0
H 5.24798 5.41756 -1.35114 0.0 0.0 0.0
H 4.78590 3.01601 -1.46018 0.0 0.0 0.0
H 4.55664 2.13083 -3.36864 0.0 -0.1 0.0
H 4.85048 2.36644 -5.78344 0.0 0.0 0.0
H 2.92362 2.09435 -7.31240 0.0 0.0 0.0
H 0.69107 1.56245 -6.37986 0.0 0.0 0.0
H 0.39533 1.33005 -3.95793 -0.1 -0.1 0.1
H 3.78361 1.37052 0.77226 0.1 0.1 0.0
H 5.79264 0.10455 1.43030 0.0 0.0 0.0
H 6.82789 -1.49310 -0.15559 0.0 0.0 0.0
H 5.76963 -1.89211 -2.35456 0.0 0.0 0.0
H 3.76143 -0.62895 -3.01200 0.1 0.1 -0.1
H 1.44422 5.50409 1.36702 0.1 0.1 -0.2
H 1.28680 5.95769 3.74636 0.0 0.0 0.0
H -0.15068 4.55059 5.18984 0.0 0.0 0.0
H -1.39906 2.67398 4.20784 0.0 0.0 0.0
H -2.87268 0.32034 4.11287 0.0 0.0 0.0
H -5.03675 0.78212 5.18451 0.0 0.0 0.0
H -6.53693 2.52242 4.26569 0.0 0.0 0.0
H -5.86245 3.79992 2.26926 0.1 0.0 0.0
H -3.70554 3.27402 1.13097 -0.1 0.1 0.0
H 1.04934 1.37660 3.06401 0.0 0.0 0.0
H 2.10096 -0.42393 4.35124 0.0 0.0 -0.1
H 0.96353 -2.60445 4.61619 0.0 0.0 0.0
H -1.23887 -2.97259 3.54663 0.0 0.0 0.0
H -2.29368 -1.17444 2.23878 0.0 -0.1 0.0
C -5.01360 1.58503 -2.95001 -0.2 0.0 -0.1
O -4.05653 2.05830 -1.99850 0.1 -0.2 0.2
C -3.71212 1.35573 -0.92270 -0.5 0.3 -0.4
C -4.70586 0.27385 -0.56376 0.1 -0.1 0.0
H -4.64270 0.66969 -3.41996 0.0 0.0 0.0
H -5.11012 2.36505 -3.69972 0.0 0.0 0.0
H -5.98481 1.39285 -2.49444 0.0 0.0 0.0
H -5.62262 0.78094 -0.23179 0.0 0.0 0.0
H -4.32288 -0.30971 0.27489 0.0 0.0 0.0
H -4.98468 -0.40995 -1.37140 0.0 0.0 0.0
C -1.62332 -4.50614 -4.59736 0.0 0.0 0.0
C -0.46013 -4.86934 -3.93306 0.0 0.0 0.0
C -0.21932 -4.41093 -2.64476 0.0 0.0 0.0
C -1.13641 -3.57773 -2.01356 0.0 0.0 0.0
C -2.29819 -3.21201 -2.69018 0.0 0.0 0.1
C -2.54763 -3.68161 -3.97111 0.0 0.0 0.0
As -0.87555 -2.82789 -0.22694 -0.1 -0.3 -0.1
C -1.68225 -4.21489 0.87286 0.1 0.1 0.3
C -3.03380 -4.41412 1.11260 0.0 0.0 -0.1
C -3.43788 -5.30044 2.10154 0.0 0.0 0.0
C -2.48766 -5.96388 2.87043 0.0 0.1 0.0
C -1.13552 -5.75509 2.64648 0.1 0.0 0.0
C -0.72006 -4.88123 1.64622 -0.1 -0.1 -0.1
C 0.67684 -4.55312 1.30601 0.1 0.0 -0.1
C 1.81531 -5.09749 1.89330 0.0 0.0 0.1
C 3.07251 -4.70678 1.45733 0.0 0.0 0.0
C 3.20883 -3.78393 0.42584 0.0 0.0 0.0
=====
Activity:
Please transcribe the part of the material further up that starts with the line with "1.89979 5.51268" and stops after the one with "1.36702 0.1".
Completed:
C 1.89979 5.51268 -0.92969 -0.2 0.0 -0.1
C 3.18915 5.97493 -1.12079 0.0 0.0 0.0
C 4.22890 5.06386 -1.25240 0.1 0.0 0.0
C 3.96684 3.70599 -1.30815 -0.1 0.1 0.0
C 2.66058 3.22291 -1.20185 -0.2 0.0 0.4
P 2.18607 1.48511 -1.64349 0.0 0.0 -0.5
C 2.44779 1.70164 -3.47474 0.1 -0.1 0.1
C 3.69997 2.00652 -4.01603 -0.1 0.0 0.0
C 3.86900 2.14418 -5.38256 0.1 0.0 0.0
C 2.78900 1.98785 -6.24354 0.0 0.0 0.0
C 1.54102 1.69448 -5.72235 0.0 0.0 0.0
C 1.37589 1.55971 -4.34897 -0.1 -0.1 0.2
C 3.68979 0.52967 -1.20297 -0.1 0.0 0.2
C 4.23846 0.67751 0.07255 0.0 0.0 -0.1
C 5.36392 -0.04096 0.44621 0.0 0.0 0.1
C 5.93806 -0.94465 -0.43755 0.0 0.0 0.0
C 5.34823 -1.16167 -1.67497 0.0 0.0 0.0
C 4.22195 -0.44163 -2.04985 0.0 0.1 0.0
C 0.08786 3.83451 1.38688 -0.1 -0.3 0.1
C 0.80634 4.88212 1.96473 -0.1 -0.1 -0.1
C 0.72098 5.13906 3.31985 0.1 0.1 0.0
C -0.08294 4.35241 4.12688 0.0 0.0 0.2
C -0.78293 3.29973 3.57498 0.0 0.0 -0.1
C -0.70859 3.01440 2.20937 0.2 0.2 -0.4
P -1.60414 1.51601 1.57795 0.5 0.0 0.6
C -3.15077 1.76644 2.54548 -0.1 0.0 -0.2
C -3.52581 1.07367 3.69166 -0.1 0.0 -0.1
C -4.74714 1.33954 4.30204 0.0 0.0 0.0
C -5.58623 2.31591 3.78962 0.0 0.0 0.0
C -5.20662 3.03082 2.65930 0.0 0.0 0.0
C -4.00109 2.75439 2.03636 0.0 -0.2 0.0
C -0.72410 0.24986 2.59193 -0.1 0.0 -0.1
C 0.53149 0.43232 3.16942 0.0 0.0 0.0
C 1.13557 -0.59184 3.88892 0.0 0.0 0.0
C 0.50139 -1.81565 4.03584 0.0 0.0 0.0
C -0.73454 -2.02121 3.43767 0.0 0.0 0.0
C -1.32862 -1.00532 2.70598 0.0 0.1 0.0
H 1.06838 6.19670 -0.80406 0.0 0.0 0.0
H 3.38851 7.03848 -1.14510 0.0 0.0 0.0
H 5.24798 5.41756 -1.35114 0.0 0.0 0.0
H 4.78590 3.01601 -1.46018 0.0 0.0 0.0
H 4.55664 2.13083 -3.36864 0.0 -0.1 0.0
H 4.85048 2.36644 -5.78344 0.0 0.0 0.0
H 2.92362 2.09435 -7.31240 0.0 0.0 0.0
H 0.69107 1.56245 -6.37986 0.0 0.0 0.0
H 0.39533 1.33005 -3.95793 -0.1 -0.1 0.1
H 3.78361 1.37052 0.77226 0.1 0.1 0.0
H 5.79264 0.10455 1.43030 0.0 0.0 0.0
H 6.82789 -1.49310 -0.15559 0.0 0.0 0.0
H 5.76963 -1.89211 -2.35456 0.0 0.0 0.0
H 3.76143 -0.62895 -3.01200 0.1 0.1 -0.1
H 1.44422 5.50409 1.36702 0.1 0.1 -0.2